Input
Record 1
Molecular formula: C3H11O2S
Method: DFT, wB97M-V/def2-TZVPD

Properties
Frontier orbital gap: 6.517 eV
Max |F|: 3.715 eV/A
Lowest unoccupied orbital energy: 0.1404 Ha
Relative energy (zero: lowest compared OMol25 entry of this formula, charge and spin): 1.556 eV
Net charge: -1
Highest occupied orbital energy: -0.0992 Ha

Geometry as XYZ:
```
17
C3H11O2S wB97M-V/def2-TZVPD
C 0.3303 -0.9115 0.0111
C 0.8052 0.4404 -0.3754
C 1.5507 1.0457 0.7954
S 0.4242 2.0814 1.8147
H 0.7617 -1.7226 -0.6138
H -0.7695 -0.8755 0.0472
H 0.5558 -1.1447 1.1208
H 1.5556 0.3531 -1.2037
H -0.0641 0.9972 -0.5572
H 2.4546 1.4669 0.3929
H 2.1845 0.3231 1.4300
H -1.5096 -0.4809 -1.9036
H -0.5263 0.0045 -2.9359
O -1.3711 -0.3166 -2.8540
H -1.8891 0.2869 1.3905
H -1.9993 -1.1300 1.9509
O -2.4935 -0.4173 1.4901
```

Charges per atom according to Löwdin partitioning, unit e: atom 1 (C): -0.18, atom 2 (C): -0.42, atom 3 (C): -0.81, atom 4 (S): 0.13, atom 5 (H): 0.07, atom 6 (H): 0.03, atom 7 (H): 0.09, atom 8 (H): 0.11, atom 9 (H): 0.04, atom 10 (H): 0.01, atom 11 (H): 0.06, atom 12 (H): 0.03, atom 13 (H): -0.03, atom 14 (O): -0.03, atom 15 (H): -0.06, atom 16 (H): 0.05, atom 17 (O): -0.09

=====

Record 2
Molecular formula: C16H23F3N4NiO3PS
Method: DFT, wB97M-V/def2-TZVPD

Properties
Frontier orbital gap (spin up / spin down): 7.717 / 7.548 eV
Max |F|: 3.079 eV/A
Lowest unoccupied orbital energy (spin up / spin down): -0.1171 / -0.1235 Ha
Relative energy (zero: lowest compared OMol25 entry of this formula, charge and spin): 0.483 eV
Multiplicity: 3
Net charge: +1
Highest occupied orbital energy (spin up / spin down): -0.4007 / -0.4009 Ha
Expectation value of S²: 2.01

Geometry as XYZ:
```
52
C16H23F3N4NiO3PS wB97M-V/def2-TZVPD
Ni 1.0435 1.0269 -0.1157
F 0.9443 0.5458 6.1270
C 0.5080 0.8792 4.9056
F -0.6681 0.2301 4.7181
F 0.2457 2.1872 4.9102
C 1.4986 0.4836 3.8465
C 2.6661 -0.1779 4.1869
C 3.5347 -0.6043 3.1894
C 3.1991 -0.3511 1.8758
N 2.0810 0.2935 1.5411
C 1.2270 0.7267 2.4922
S -0.1622 1.5410 1.8483
H 2.8932 -0.3557 5.2292
H 4.4481 -1.1267 3.4316
H 3.8366 -0.6584 1.0560
C 0.4440 2.0943 -3.5702
C 0.6846 3.0126 -2.3887
C 0.3947 4.4653 -2.6552
O -0.0846 2.5057 -1.2762
C 2.2696 2.8085 -2.0145
O 3.0371 3.6340 -2.4501
O 2.4344 1.7450 -1.3321
H -0.5884 2.1790 -3.9284
H 0.6265 1.0591 -3.2665
H 1.1199 2.3453 -4.3845
H -0.6154 4.5911 -3.0590
H 1.1155 4.8578 -3.3661
H 0.4777 5.0562 -1.7393
H -0.2861 3.2321 -0.6752
C -1.4162 -3.7039 -0.3340
N -1.7817 -2.6521 0.7164
C -3.0753 -1.9611 0.2648
N -2.9300 -1.4251 -1.0414
C -2.5622 -2.4657 -1.9969
N -1.3079 -3.1138 -1.6196
C -0.1496 -2.2373 -1.7714
P -0.2814 -0.7258 -0.6880
C -0.6825 -1.6589 0.8882
C -2.0360 -0.2720 -1.1020
H -2.2117 -4.4497 -0.3266
H -0.4748 -4.1602 -0.0301
H -1.9508 -3.1146 1.6109
H -3.2979 -1.1760 0.9868
H -3.8602 -2.7178 0.2847
H -2.4597 -2.0233 -2.9857
H -3.3516 -3.2184 -2.0277
H -0.0662 -1.9295 -2.8149
H 0.7628 -2.7852 -1.5271
H -0.9752 -0.9203 1.6364
H 0.2119 -2.1743 1.2430
H -2.0676 0.1617 -2.1025
H -2.3615 0.4972 -0.3994
```
Wanted
Repeat the entries earlier on without additions, please.
Response
Record 1
Molecular formula: C3H11O2S
Method: DFT, wB97M-V/def2-TZVPD

Properties
Frontier orbital gap: 6.517 eV
Max |F|: 3.715 eV/A
Lowest unoccupied orbital energy: 0.1404 Ha
Relative energy (zero: lowest compared OMol25 entry of this formula, charge and spin): 1.556 eV
Net charge: -1
Highest occupied orbital energy: -0.0992 Ha

Geometry as XYZ:
```
17
C3H11O2S wB97M-V/def2-TZVPD
C 0.3303 -0.9115 0.0111
C 0.8052 0.4404 -0.3754
C 1.5507 1.0457 0.7954
S 0.4242 2.0814 1.8147
H 0.7617 -1.7226 -0.6138
H -0.7695 -0.8755 0.0472
H 0.5558 -1.1447 1.1208
H 1.5556 0.3531 -1.2037
H -0.0641 0.9972 -0.5572
H 2.4546 1.4669 0.3929
H 2.1845 0.3231 1.4300
H -1.5096 -0.4809 -1.9036
H -0.5263 0.0045 -2.9359
O -1.3711 -0.3166 -2.8540
H -1.8891 0.2869 1.3905
H -1.9993 -1.1300 1.9509
O -2.4935 -0.4173 1.4901
```

Charges per atom according to Löwdin partitioning, unit e: atom 1 (C): -0.18, atom 2 (C): -0.42, atom 3 (C): -0.81, atom 4 (S): 0.13, atom 5 (H): 0.07, atom 6 (H): 0.03, atom 7 (H): 0.09, atom 8 (H): 0.11, atom 9 (H): 0.04, atom 10 (H): 0.01, atom 11 (H): 0.06, atom 12 (H): 0.03, atom 13 (H): -0.03, atom 14 (O): -0.03, atom 15 (H): -0.06, atom 16 (H): 0.05, atom 17 (O): -0.09

=====

Record 2
Molecular formula: C16H23F3N4NiO3PS
Method: DFT, wB97M-V/def2-TZVPD

Properties
Frontier orbital gap (spin up / spin down): 7.717 / 7.548 eV
Max |F|: 3.079 eV/A
Lowest unoccupied orbital energy (spin up / spin down): -0.1171 / -0.1235 Ha
Relative energy (zero: lowest compared OMol25 entry of this formula, charge and spin): 0.483 eV
Multiplicity: 3
Net charge: +1
Highest occupied orbital energy (spin up / spin down): -0.4007 / -0.4009 Ha
Expectation value of S²: 2.01

Geometry as XYZ:
```
52
C16H23F3N4NiO3PS wB97M-V/def2-TZVPD
Ni 1.0435 1.0269 -0.1157
F 0.9443 0.5458 6.1270
C 0.5080 0.8792 4.9056
F -0.6681 0.2301 4.7181
F 0.2457 2.1872 4.9102
C 1.4986 0.4836 3.8465
C 2.6661 -0.1779 4.1869
C 3.5347 -0.6043 3.1894
C 3.1991 -0.3511 1.8758
N 2.0810 0.2935 1.5411
C 1.2270 0.7267 2.4922
S -0.1622 1.5410 1.8483
H 2.8932 -0.3557 5.2292
H 4.4481 -1.1267 3.4316
H 3.8366 -0.6584 1.0560
C 0.4440 2.0943 -3.5702
C 0.6846 3.0126 -2.3887
C 0.3947 4.4653 -2.6552
O -0.0846 2.5057 -1.2762
C 2.2696 2.8085 -2.0145
O 3.0371 3.6340 -2.4501
O 2.4344 1.7450 -1.3321
H -0.5884 2.1790 -3.9284
H 0.6265 1.0591 -3.2665
H 1.1199 2.3453 -4.3845
H -0.6154 4.5911 -3.0590
H 1.1155 4.8578 -3.3661
H 0.4777 5.0562 -1.7393
H -0.2861 3.2321 -0.6752
C -1.4162 -3.7039 -0.3340
N -1.7817 -2.6521 0.7164
C -3.0753 -1.9611 0.2648
N -2.9300 -1.4251 -1.0414
C -2.5622 -2.4657 -1.9969
N -1.3079 -3.1138 -1.6196
C -0.1496 -2.2373 -1.7714
P -0.2814 -0.7258 -0.6880
C -0.6825 -1.6589 0.8882
C -2.0360 -0.2720 -1.1020
H -2.2117 -4.4497 -0.3266
H -0.4748 -4.1602 -0.0301
H -1.9508 -3.1146 1.6109
H -3.2979 -1.1760 0.9868
H -3.8602 -2.7178 0.2847
H -2.4597 -2.0233 -2.9857
H -3.3516 -3.2184 -2.0277
H -0.0662 -1.9295 -2.8149
H 0.7628 -2.7852 -1.5271
H -0.9752 -0.9203 1.6364
H 0.2119 -2.1743 1.2430
H -2.0676 0.1617 -2.1025
H -2.3615 0.4972 -0.3994
```